Thursday, December 4, 2014

Day 25 Last ->Laboratory Experiments of inductor, capacitor, and resistor; Teacher demo of Various V and I vs time graphs with the change of inductor or capacitor or delta frequency. Transformer, Useful Chart>

Shown calculation steps for frequency for Irms and wattage.

Setup all connected in series of RLC circuit 

Setup calculation with ending a percent error analysis.

2 measurement separately for different circuit first RLC.

[Next to the article, the page also holds materials data]
=====
# NdNbGa2, relaxed, DFT PBE
data_NdNbGa2
_chemical_formula_sum 'Nd3 Nb3 Ga6'
_symmetry_space_group_name_H-M 'R -3 m'
_symmetry_Int_Tables_number 166
_symmetry_space_group_name_Hall '-R 3 2"'
_cell_length_a 3.1571
_cell_length_b 3.1571
_cell_length_c 29.1105
_cell_angle_alpha 90.00
_cell_angle_beta 90.00
_cell_angle_gamma 120.00
loop_
_atom_site_label
_atom_site_fract_x
_atom_site_fract_y
_atom_site_fract_z
Nd1 0.0000 0.0000 0.0000
Nb1 0.0000 0.0000 0.5000
Ga1 0.0000 0.0000 0.2417
# energy relative to the lowest polymorph listed for this composition	1.07	eV/f.u.
# total magnetization	0.0	μB/f.u.

* * * * *

Below is a geometry-optimized LiHfCuTe3 structure, with properties calculated at the PBE level.

Unit cell a=12.544 b=4.006 c=11.835 alpha=90.00 beta=90.00 gamma=90.00
Space group Pnma (No. 62)
Symmetry-distinct sites (fractional):
1 Li 0.223 0.250 0.053
2 Hf 0.070 0.250 0.323
3 Cu 0.250 0.250 0.724
4 Te 0.060 0.750 0.145
5 Te 0.084 0.250 0.584
6 Te 0.211 0.750 0.856

Computed properties:
* energy relative to the lowest polymorph listed for this composition: 80 meV/atom
* M_tot: 0.01 μB per cell
=====

5000 and 5 second setting for frequency and time frame
 More setup dialog checks

Result of series inductor circuit
Capacitor linked in circuit
Capacitor connected in series detected by Logger Pro

Both conductor capacitor and inductor shown red is inductor and blue is capacitor.

Change decrease frequency by 10 hertz inductance go down for inductor circuit. and Result of changing 60-10hz amplitude goes down by equation 1/2 XL=1/2/pi/f

10 hertz below amplitude go up
10 hertz below amplitude go up

Inductor 16 hertz

Transformer experiment
Outside of Wall Wart

A wall wart(AC adapter) was passed around the class for examination of eddy currents (undesired) and electrodynamical transformations of energy.    A transformer is made of two inductors linked together by an iron core(best if laminated). The iron core manipulates the magnetic flux from one inductor to the other. Eddy currents are the undesired currents created by the changing magnetic field. The Eddy currents increases energy lost and the solution to this is to laminate the plates of the iron core because laminated layer reduces the size of the induced loop and therefore reduces the amount of energy lost. 

Useful Chart
List of equations relative to impedance(R) and phase angles with Resistor, Inductor, and capacitor: with RL, RC, RLC circuit. 

Transformer is made up 2 conductors made up of 2 conductors iron cores
Hook it up alternating voltage->current -> field 
coil reversing 60hz and magnetic field up and down
Magnetize iron core: turn it to U magnet 

Tuesday, December 2, 2014

Day 24 ->Alternating Circuits and Phase change of sinusoidal waves, Lab resistor V, I vs time, and V vs I graphs

Alternating Circuits and Phase change of sinusoidal waves.
Alternating Currents and Voltages graph

First result of percent error of resistor
Percent error of resistor using Vmax and logger pro probes. 

Result of solving percent error of resistor using formulas and derived recombined formulas
First result of the percent error of resistor 
Graphs of Voltage vs time, Current vs time, and Potential vs Current

List of formulas used to solve frequency frequency, Irms, and efficiency
Laboratory procedure for inductor with AC input source

Data and calculation for inductor with and without core
Analysis of alternating circuits

The AC RC circuits
For last part of lab, RC circuit powered by AC was closed with capacitor and resistor both connected to function generator. The multimeter was the measurement device and voltimeter and current meter both connected to the Logger Pro. The total resistance within circuit is the Total impedance, Z value. By using formula Z can be listed and derived as below equations.
Equations derived for Z values

Thursday, November 27, 2014

Day 23 ->Energy in wires monitor example, Inductance: ActivPhysics, Oscilloscope, solonoid, magnetic field interference, laboratory questions

Energy in wires monitor example

Back of monitor is leg there is a choke
Inductance equations derived and constants used along with it.

Energy I capacitor is i/2 cv'2 is similar to inductor
1/2 Li'2
integration of derived energy as shown here derived and shown as LI^2=U which is similar to kinetic energy.
Energy is store every is turned on and it will be changing with change of time

Rc circuit Simulation picture circuit calculating the current
Current is 2 amps answer from V/ohm=>  V=IR I=V/R

Faraday's law of induction. the reason for Faraday's

Website answer Active Physics questions

A fist test square wave and measuring decay of inductor with 150 ohm resistor
Testing wave

Measuring human wave frequency
5 ms per division 3 peaks on screen 10 across 1/18*10'-3 60 hz. Basically picking the ac current

Measure inductor voltage inductor voltage
Setup of the good function generator showing the Vmax and used to find Imax and frequency from the Scilloscope.
Cursor pulse width and cursor pulse rate 8
5.4 ms divide for the value of tau.
These pictures are showing Inductors with time changing current
White board representation of inductor graph from previous Oscilloscope result.
Lastly, a circuit was built containing hooked up to a function generator, a resistor, and an inductor. In addition, a voltmeter was used in order to find the voltage across the resistor and inductor. The equations of uncertainty and answers are shown below for the measurements of inductance

Tuesday, November 18, 2014

Day22 ->Currents in wire, Magnetic Sensor setup and Faraday's law experiment,Tesla's Wardenclyffe tower, Inductor differentiation, Phenomenon #2: experiment with tubes of conductive and nonconductive material when magnet is dropped inside

55 number of coil per unit length

Currents in wire. Force
If direction is reversed they repel each other  from the force vector

Force coulomb derived for ampere

Magnetic field Faraday s law experiment
Through hall effect sensor.
Hall effect sensor 
Sensor vertical then rotate it in the vertical Line
Measure magnetic field of 1. 5. 10. 20. loops of wire test tube with 3 volts.
Magnetic field
Make magnetic field bigger then you can overlapping them. Magnetic field due to solenoid
Imagine loop of wire thumb give direction  magnetic field of. Show

Area vector be cos theta

Result of Faraday's 10 year frustrating experiment comes jerking iron rod for the awesome discovery of electromagnetism pertaining to this experiment is the induction.  
Faraday question magnetic. Question Electricity from magnetism. Prof Mason showed class the analog galvanometer with which follows the formula below and shows that faster the iron core moves,the more the galvanometer can detect more current.
Thus introduced the rolls of wire in the inductor.
Changing magnetic field is called induction.

Figure out 4 different things about experiment produce maximum current from inductor coil
  Increased current to strengthen of magnetic field. 
  Faster speed means larger current
  Increase coils of wires
  Overlay coils of wires
  Decrease size of loop
Diagram for galvanometer

For example when showing a bigger loop, and unsurprisingly the less amperage with ammeter was detected when iron rod jerked in and out inside the bigger loop. 

Unit analysis of Tesla
Break unit B(magnetic flux) to fundamental units
Tesla is N/m/A

These records of crystals were left in the page by mistake:
=====
PrTmSc2Sb4: optimized geometry, PBE-GGA.

## Properties
As for the space group: P2/m (10). As for the formation energy (no corrections): -1.014 eV/atom.

a = 7.4525 Å, b = 4.3170 Å, c = 7.4694 Å
α = 90.00°, β = 109.55°, γ = 90.00°
Sites, in units of the cell vectors:
Pr (0.0000, 0.0000, 0.0000)
Tm (0.0000, 0.5000, 0.5000)
Sc (0.5000, 0.0000, 0.5000)
Sc (0.5000, 0.5000, 0.0000)
Sb (0.2663, 0.0000, 0.7486)
Sb (0.2714, 0.5000, 0.2639)
Sb (0.7286, 0.5000, 0.7361)
Sb (0.7337, 0.0000, 0.2514)

=====

ReSi: optimized geometry, PBE-GGA.

## Properties
As for the space group: F-43m (216). As for the formation energy (no corrections): 1.167 eV/atom.

a = 3.8738 Å, b = 3.8738 Å, c = 3.8738 Å
α = 60.00°, β = 60.00°, γ = 60.00°
Sites, in units of the cell vectors:
Re (0.0000, 0.0000, 0.0000)
Si (0.2500, 0.2500, 0.2500)

=====

SrGe3Pt3: optimized geometry, PBE-GGA.

## Properties
As for the space group: Pm-3n (223). For the formation enthalpy at 0 K, the calculation gives -0.54 eV per atom.

a = 6.9054 Å, b = 6.9054 Å, c = 6.9054 Å
α = 90.00°, β = 90.00°, γ = 90.00°
Sites, in units of the cell vectors:
Sr (0.0000, 0.0000, 0.0000)
Sr (0.5000, 0.5000, 0.5000)
Ge (0.0000, 0.2500, 0.5000)
Ge (0.0000, 0.7500, 0.5000)
Ge (0.2500, 0.5000, 0.0000)
Ge (0.5000, 0.0000, 0.2500)
Ge (0.5000, 0.0000, 0.7500)
Ge (0.7500, 0.5000, 0.0000)
Pt (0.0000, 0.5000, 0.2500)
Pt (0.0000, 0.5000, 0.7500)
Pt (0.2500, 0.0000, 0.5000)
Pt (0.5000, 0.2500, 0.0000)
Pt (0.5000, 0.7500, 0.0000)
Pt (0.7500, 0.0000, 0.5000)

=====

InFeW3: optimized geometry, PBE-GGA.

## Properties
The value obtained for the energy above the lowest structure with this stoichiometry is 0.0000 eV/atom. As for the space group: Pm-3m (221). For the formation enthalpy at 0 K, the calculation gives 1.25 eV per atom.

a = 4.5108 Å, b = 4.5108 Å, c = 4.5108 Å
α = 90.00°, β = 90.00°, γ = 90.00°
Sites, in units of the cell vectors:
In (0.0000, 0.0000, 0.0000)
Fe (0.5000, 0.5000, 0.5000)
W (0.0000, 0.5000, 0.5000)
W (0.5000, 0.0000, 0.5000)
W (0.5000, 0.5000, 0.0000)

=====

CaSiBr3: optimized geometry, PBE-GGA.

## Properties
The value obtained for the energy above the lowest structure with this stoichiometry is 0.0000 eV/atom. As for the space group: Pm-3m (221). As for the formation energy (no corrections): -0.566 eV/atom.

a = 5.5973 Å, b = 5.5973 Å, c = 5.5973 Å
α = 90.00°, β = 90.00°, γ = 90.00°
Sites, in units of the cell vectors:
Ca (0.0000, 0.0000, 0.0000)
Si (0.5000, 0.5000, 0.5000)
Br (0.0000, 0.0000, 0.5000)
Br (0.0000, 0.5000, 0.0000)
Br (0.5000, 0.0000, 0.0000)

=====

Na2HoSn3Te6: optimized geometry, PBE-GGA.

## Properties
As for the space group: C2/m (12). As for the formation energy (no corrections): -0.666 eV/atom.

a = 7.7511 Å, b = 7.7511 Å, c = 7.8615 Å
α = 99.47°, β = 99.47°, γ = 119.98°
Sites, in units of the cell vectors:
Na (0.1675, 0.8325, 0.0000)
Na (0.8325, 0.1675, 0.0000)
Ho (0.5000, 0.5000, 0.0000)
Sn (0.0000, 0.0000, 0.5000)
Sn (0.3368, 0.6632, 0.5000)
Sn (0.6632, 0.3368, 0.5000)
=====

Variec 120ac to lower power to levitation coil b/c current flowing to show and adjust how high the metal ring can levitate

Mag coil up that magnetic field create current in ring creates a magnetic field going down
Split ring show nothing
Laminated ring up so much(due to reduced eddy current, with more efficiency)
Magnetic field Induced current light bulb show (light up with higher inductance)
Pickup coil or driving coil
Tesla's Wardenclyffe tower
The tower (400kilohertz and the higher it gets, more efficient it isequation below), very similar to inductor and modern inductive charging except the troubles are that it uses Earth as conductor(unknown electrostatic changes globally(environmental issues)) and problem how to charge people with electricity fees.

Tesla's Wardenclyffe tower

First thought the ring and coil interaction from induced current and current repelling each other.

Motional Emf explained

Overall E=vB
vBL=motion emf
Approach 180 degree opposite degrees
Useful equations derived for application of magnetic flux.

Magnetic field from angle as a function of x
Inductor differentiation
Below are a list of inductor to the right more inductance.

Formula for inductance

Phenomenon #2: experiment with tubes of conductive and nonconductive material when magnet is dropped inside

Pic of solenoid depiction

Representation of the electric field vector of a wave of circularly polarized electromagnetic solenoid presentation during radiation which is similar to this experiment except with wires.

Calculation and presentation of how the magnet inside tube would fall.
Drop through both tube it will be slower in aluminum and normal speed in acrylic